Ruby Revenge - Page 7


Standing in the shower, I let the hot water run down my body as I thought about how the night had transpired. Soap ran down my face as I rinsed shampoo out of my hair. Luckily, I’d had a front-row seat to what happened at the bar.

Poor Lacey just looked mortified about the whole incident. She was so naïve to all the things that could happen in the world outside her small town. She needed a man in her life who would protect and speak up for her. My cock twitched when I thought about how Sage had acted. Now she was fearless. Got right up in that guy’s face. Didn’t need a man to fight her battles. Yet she was the one on the path to marry that boyfriend. Trying to ignore the blood rushing to my dick, I forced her face out of my mind. No point getting attached. The plan was in place.

My jaw ticked as another image stole my thoughts. The boyfriend, Alex, surprised me with how he came at that guy. I didn’t think Alex had it in him to act like that. But I was sure I could still take him in a fight if needed. Not that it would ever happen. The girls were priority. And if everything went how it was supposed to, I wouldn’t have to worry about anything.

Their lives were going to change very soon, and not for the better. Mackinaw City was the perfect vacation spot, but instead of enjoying myself, I was tasked with watching the girls. I’d known everything they’d done since they started the trip. They were happy when they got here and looked at the bridge. If only they knew what was going to happen when they crossed that bridge in the next couple of days.

Allowing myself a moment of weakness, my mind wandered back to Sage. It was fucking stupid to let myself get distracted when there were still little details in the plan to execute. Apparently, my dick didn’t care, growing hard as I pictured Sage and how she’d stood up for herself at the bar. All that attitude and sass wrapped in a body that most men would commit a sin just to get a taste of. Most men. It shouldn’t affect me.

Especially when I knew why she and her family were important. But I also knew more about her than just her looks. Her smart mouth could give anyone a run for their money. She was feisty. Spoke her mind. The complete opposite of the type of woman I was meant to be with. The group wanted their woman meek and obedient. Someday, I’d be expected to marry someone who shared in our belief. And I would. Because my life consisted of doing what was needed for the greater good.

So why the hell was this one girl so hard to get out of my head? Could it be that she was the forbidden fruit I wasn’t allowed to taste because her life had already been chosen for a different reason? The bloodline of the women in her family was important to everything I was raised to honor.

“Fuck,” I muttered, attempting to ignore my aching cock. She shouldn’t be in my damn head. I had no time for distractions when the ceremony was so close. My sole focus was making sure everything went smoothly. I wouldn’t let the group down. I gritted my teeth, forcing the thoughts of her away as I shut off the water.

I grabbed a towel and dried off my face. I paused for a moment, realizing why it was so different this time. I’d spent my entire life helping the group. As a kid, I did small jobs. The older I got, the more responsibility was given to me. I’d met chosen women in the past. Talked to them. Spent time with them before their time came to help the greater good. None of them stuck to me like the Taylor sisters did. Wrapping the towel around my waist, I silently admitted why I couldn’t get the sisters out of my head. Why they were so different from every other chosen woman in the past.

I’d talked to Sage and Lacey. Interacted. Joked. Laughed. I knew them. And fuck, I enjoyed the time I’d spent with them.

The chosen women were usually strangers. We watched them and their families, but it was never personal. I saw all their faces. Heard their voices. Witnessed their tears. Listened to their last words. I remembered every name of every woman whose ceremonies I’d been a part of. They were important to the greater good. But I didn’t feel for them. They were needed. I did what was asked of me, and that was it.

This time was different. The sisters’ voices echoed through my head. I’d been to their home. Gotten a peek into their lives. Now an unsettling tightness swelled in my chest every time I pictured the fate one of the sisters was going to endure.

And I fucking hated it. I learned long ago feelings and emotions didn’t have a place in my type of life. I was an expert at concealing my thoughts—even from myself. These new intrusive pangs of conscience would do nothing to change the plan. It didn’t matter what I thought. The only thing that mattered was making sure I did what the group asked.

I left the bathroom and strode into the hotel room to grab a pair of shorts as I wondered if I was the only one with these thoughts. I wasn’t the only one in the group who knew the sisters personally. Blowing out a long breath, I rubbed my temples. This whole thing with the Taylor family was abnormal. We had to be more careful than usual with the strict rules we followed to keep our tradition a secret. Once we claimed one chosen woman from a family, we left their children and grandchildren alone. Multiple people missing from one family would only raise suspicion. I didn’t agree with targeting the sisters after their mother had been chosen. I’d voiced my concerns. And was ignored. It wasn’t my call to make.

Grabbing a bottle of tequila off the table, I took a long swig as I made my way to the small balcony. It was time to get back to business. The big night was only a couple of days away. Separating Sage and Lacey would be difficult. But with the help of the others, it would all go accordingly.

Rolling my neck, I stared up at the cloudless night sky. It was always so peaceful up here. With no big cities, the stars could always be seen. It was such a clear night that I could see lights from the UP just across the water. Sinking into the wicker chair, I gritted my teeth when my phone interrupted my one moment of peace. Glancing at who it was made me want to swallow the whole damn bottle of tequila. But I answered it anyway. I mean, I was raised to respect my elders—especially those in the inner circle.

“Yeah?” I asked just above a whisper as I peered back into the hotel room to make sure I had dead bolted the door.

“Do you have your plan set? These next few days are crucial. Nothing can happen out of place,” the man said, getting straight down to business.


“Why’re you so quiet?”

“Because I’m at the hotel. Not much privacy here. You know where I am.”

“Good. Just do exactly as we all talked about. It will work out perfectly.”


“Do the girls have any suspicions about anything?”

“Not that I’m aware.”

“Good. Most of us are already up here waiting. Everything will be in place by tomorrow.”


“One more thing…stop talking to me like that. I’ve been making these plans since before you were born, kid. Show me some damn respect.”

I rolled my eyes. “Yes, sir. Sorry, just don’t want to talk too much about it in public.”

I waited for a response but heard nothing. Looking at my phone, I grumbled under my breath; he had hung up. Tossing the phone back onto the small glass table next to me, I sucked in a deep breath to calm down. This was not the time to lose control. A clear head was essential for what was coming next. And I couldn’t deny I was excited to see everyone. The group was like family. Well, most of them anyway.

+++
Entry 1:
Computed, not measured: a geometry-optimized Ag2RhBr structure at the PBE level of DFT.

Unit cell a=3.3140 b=3.3140 c=6.8329 alpha=90.00 beta=90.00 gamma=90.00
Atoms (fractional coordinates):
Ag  0.0000  0.0000  0.0000
Ag  0.5000  0.5000  0.2332
Rh  0.5000  0.5000  0.7734
Br  0.0000  0.0000  0.5358

Summary:
Energy above the most stable polymorph in this dataset, eV/atom: 0.105
Total magnetization, μB per cell: 1.08
E, Ry/atom: -0.24534
SG: No. 99

Entry 2:
Computed, not measured: a geometry-optimized Ag2RhBr structure at the PBE level of DFT.

Unit cell a=6.6825 b=6.6825 c=6.6825 alpha=153.25 beta=140.45 gamma=48.39
Atoms (fractional coordinates):
Ag  0.0000  0.0000  0.0000
Ag  0.6361  0.1361  0.5000
Rh  0.4424  0.4424  0.0000
Br  0.2859  0.7859  0.5000

Summary:
Energy above the most stable polymorph in this dataset, eV/atom: 0.007
Total magnetization, μB per cell: 0.00
E, Ry/atom: -0.25256
SG: No. 44

Entry 3:
Computed, not measured: a geometry-optimized Ag2RhBr structure at the PBE level of DFT.

Unit cell a=5.4072 b=5.4072 c=4.6696 alpha=104.48 beta=104.48 gamma=34.01
Atoms (fractional coordinates):
Ag  0.2372  0.2372  0.2360
Ag  0.7628  0.7628  0.7640
Rh  0.5000  0.5000  0.0000
Br  0.0000  0.0000  0.5000

Summary:
Energy above the most stable polymorph in this dataset, eV/atom: 0.154
Total magnetization, μB per cell: 0.00
E, Ry/atom: -0.24172
SG: No. 12

Entry 4:
Computed, not measured: a geometry-optimized Ag2RhBr structure at the PBE level of DFT.

Unit cell a=4.7644 b=4.7644 c=4.7644 alpha=60.00 beta=60.00 gamma=60.00
Atoms (fractional coordinates):
Ag  0.2500  0.2500  0.2500
Ag  0.7500  0.7500  0.7500
Rh  0.0000  0.0000  0.0000
Br  0.5000  0.5000  0.5000

Summary:
Energy above the most stable polymorph in this dataset, eV/atom: 0.341
Total magnetization, μB per cell: 0.73
E, Ry/atom: -0.22795
SG: No. 225

Entry 5:
Computed, not measured: a geometry-optimized AgRhBr3 structure at the PBE level of DFT.

Unit cell a=5.0737 b=5.0737 c=5.0737 alpha=90.00 beta=90.00 gamma=90.00
Atoms (fractional coordinates):
Ag  0.0000  0.0000  0.0000
Rh  0.5000  0.5000  0.5000
Br  0.0000  0.5000  0.5000
Br  0.5000  0.0000  0.5000
Br  0.5000  0.5000  0.0000

Summary:
Energy above the most stable polymorph in this dataset, eV/atom: 0.000
Total magnetization, μB per cell: 0.00
E, Ry/atom: -0.21979
SG: No. 221

Entry 6:
Computed, not measured: a geometry-optimized Sm6AgRh2Br3 structure at the PBE level of DFT.

Unit cell a=7.1929 b=7.1929 c=8.0876 alpha=98.47 beta=98.47 gamma=120.05
Atoms (fractional coordinates):
Sm  0.0778  0.4333  0.7998
Sm  0.2103  0.2103  0.1996
Sm  0.4333  0.0778  0.7998
Sm  0.5667  0.9222  0.2002
Sm  0.7897  0.7897  0.8004
Sm  0.9222  0.5667  0.2002
Ag  0.5000  0.5000  0.0000
Rh  0.1668  0.8332  0.0000
Rh  0.8332  0.1668  0.0000
Br  0.0000  0.0000  0.5000
Br  0.3324  0.6676  0.5000
Br  0.6676  0.3324  0.5000

Summary:
Total magnetization, μB per cell: 0.00
E, Ry/atom: -0.38031
SG: No. 12

Entry 7:
+++

They came together in many places to help with the ceremonies once a year. Always in less populated locations to not arouse suspicion and never in huge groups, only twelve or fewer at each place. We couldn’t get much more desolate than the place we had in the UP, except maybe Alaska. There wasn’t even cell service up there, which was a benefit. To keep things as hidden as possible.

I gazed at the bright stars as my mind wandered back to the sisters again. This was the last time I would think of them as people I knew. They were chosen, and there was no alternate option. But a feeling refused to go away when I was around one of the sisters. An unrelenting presence that made me want to shed the secret I had sworn to protect. But that would be a threat to my family, and I’d die before putting them in danger.

The plan would go perfectly. One sister would be sacrificed in two days. It was the same month every year when it had to be done. Always during the full moon. The long thought-out plan changed since they’d decided to go camping. But everything was in place.

And it would happen at the lake.

Tags: Kay Riley Erotic
Source: Copyright 2016 - 2024